**To do:**
Filter the material underneath: keep the lines with the word "Atomic".
**File:**
<<<
No. 1
For Au2Se4O11, the PBE geometry in OQMD gives the computed X-ray diffraction stick pattern in this record (Cu Kα (weighted mean of Kα1 and Kα2)).

Atomic structure:
abc: 10.429 10.429 13.088
angles: 115.47 115.47 22.60
Element x y z (fractional)
Au1 0.000 0.000 0.000
Au2 0.000 0.000 0.500
Au3 0.000 0.500 0.000
Au4 0.500 0.000 0.500
Se1 0.066 0.596 0.403
Se2 0.179 0.666 0.744
Se3 0.334 0.821 0.756
Se4 0.404 0.934 0.097
Se5 0.596 0.066 0.903
Se6 0.666 0.179 0.244
Se7 0.821 0.334 0.256
Se8 0.934 0.404 0.597
O1 0.004 0.996 0.750
O2 0.084 0.180 0.759
O3 0.087 0.110 0.002
O4 0.110 0.087 0.502
O5 0.180 0.084 0.259
O6 0.182 0.295 0.136
O7 0.229 0.419 0.521
O8 0.295 0.182 0.636
O9 0.343 0.588 0.888
O10 0.412 0.657 0.612
O11 0.419 0.229 0.021
O12 0.581 0.771 0.979
O13 0.588 0.343 0.388
O14 0.657 0.412 0.112
O15 0.705 0.818 0.364
O16 0.771 0.581 0.479
O17 0.818 0.705 0.864
O18 0.820 0.916 0.741
O19 0.890 0.913 0.498
O20 0.913 0.890 0.998
O21 0.916 0.820 0.241
O22 0.996 0.004 0.250

Peak list (10 most intense, 10° ≤ 2θ ≤ 90°, low angle first)
5.881 Å, 15.1°, I = 65
4.778 Å, 18.6°, I = 36
3.989 Å, 22.3°, I = 32
3.501 Å, 25.4°, I = 42
3.033 Å, 29.5°, I = 40
2.942 Å, 30.4°, I = 100
2.877 Å, 31.1°, I = 62
2.553 Å, 35.2°, I = 38
2.039 Å, 44.4°, I = 28
1.947 Å, 46.7°, I = 28


No. 2
For Au2Se3O10, the PBE geometry in OQMD gives the computed X-ray diffraction stick pattern in this record (Cu Kα (weighted mean of Kα1 and Kα2)).

Atomic structure:
abc: 8.934 8.934 8.228
angles: 90.00 90.00 41.45
Element x y z (fractional)
Au1 0.133 0.187 0.000
Au2 0.187 0.133 0.500
Au3 0.813 0.867 0.000
Au4 0.867 0.813 0.500
Se1 0.149 0.851 0.845
Se2 0.306 0.378 0.124
Se3 0.378 0.306 0.624
Se4 0.622 0.694 0.124
Se5 0.694 0.622 0.624
Se6 0.851 0.149 0.345
O1 0.053 0.106 0.817
O2 0.106 0.053 0.317
O3 0.116 0.545 0.963
O4 0.191 0.508 0.476
O5 0.218 0.264 0.183
O6 0.242 0.758 0.031
O7 0.264 0.218 0.683
O8 0.312 0.688 0.691
O9 0.455 0.884 0.963
O10 0.492 0.809 0.476
O11 0.508 0.191 0.976
O12 0.545 0.116 0.463
O13 0.688 0.312 0.191
O14 0.736 0.782 0.183
O15 0.758 0.242 0.531
O16 0.782 0.736 0.683
O17 0.809 0.492 0.976
O18 0.884 0.455 0.463
O19 0.894 0.947 0.817
O20 0.947 0.894 0.317

Peak list (10 most intense, 10° ≤ 2θ ≤ 90°, low angle first)
8.356 Å, 10.6°, I = 36
5.914 Å, 15.0°, I = 42
4.179 Å, 21.3°, I = 36
4.114 Å, 21.6°, I = 44
3.691 Å, 24.1°, I = 29
3.377 Å, 26.4°, I = 34
3.162 Å, 28.2°, I = 34
2.932 Å, 30.5°, I = 100
2.785 Å, 32.1°, I = 53
1.846 Å, 49.4°, I = 43


No. 3
For Au2Se2O7, the PBE geometry in OQMD gives the computed X-ray diffraction stick pattern in this record (Cu Kα (weighted mean of Kα1 and Kα2)).

Atomic structure:
abc: 6.737 11.672 3.942
angles: 90.00 90.00 90.00
Element x y z (fractional)
Au1 0.194 0.066 0.000
Au2 0.306 0.566 0.000
Au3 0.694 0.434 0.000
Au4 0.806 0.934 0.000
Se1 0.115 0.326 0.727
Se2 0.385 0.826 0.727
Se3 0.615 0.174 0.727
Se4 0.885 0.674 0.727
O1 0.000 0.000 0.330
O2 0.033 0.213 0.990
O3 0.123 0.628 0.622
O4 0.161 0.417 0.070
O5 0.339 0.917 0.070
O6 0.377 0.128 0.622
O7 0.467 0.713 0.990
O8 0.500 0.500 0.330
O9 0.533 0.287 0.990
O10 0.623 0.872 0.622
O11 0.661 0.083 0.070
O12 0.839 0.583 0.070
O13 0.877 0.372 0.622
O14 0.967 0.787 0.990

Peak list (10 most intense, 10° ≤ 2θ ≤ 90°, low angle first)
5.836 Å, 15.2°, I = 48
4.411 Å, 20.1°, I = 47
3.942 Å, 22.6°, I = 100
3.369 Å, 26.5°, I = 44
3.267 Å, 27.3°, I = 84
3.237 Å, 27.6°, I = 40
2.939 Å, 30.4°, I = 65
2.678 Å, 33.5°, I = 76
2.561 Å, 35.0°, I = 40
2.215 Å, 40.7°, I = 56


No. 4
For TlAuSeO, the PBE geometry in OQMD gives the computed X-ray diffraction stick pattern in this record (Cu Kα (weighted mean of Kα1 and Kα2)).

Atomic structure:
abc: 5.821 5.914 10.631
angles: 90.00 99.72 90.00
Element x y z (fractional)
Tl1 0.033 0.000 0.100
Tl2 0.461 0.996 0.900
Tl3 0.539 0.496 0.100
Tl4 0.967 0.500 0.900
Au1 0.169 0.586 0.331
Au2 0.197 0.956 0.512
Au3 0.803 0.456 0.488
Au4 0.831 0.086 0.669
Se1 0.111 0.405 0.681
Se2 0.482 0.319 0.323
Se3 0.518 0.819 0.677
>>>
**Response:**
Atomic structure:
Atomic structure:
Atomic structure:
Atomic structure: